Request:
Could you reproduce the block below exactly?

Input:
+++
No. 1
A plane-wave DFT calculation with PBE-GGA was carried out for YMgAs2 after structural relaxation.

Cell: 7.064 6.467 3.719 Å, 90.00 90.12 90.00°
Space group C2/m (No. 12)
Inequivalent atoms, fractional coordinates:
Y  0.000  0.000  0.000 x2
Mg  0.000  0.500  0.000 x2
As  0.250  0.250  0.500 x4

ΔE_f in eV/f.u.: -2.96

***

No. 2
A plane-wave DFT calculation with PBE-GGA was carried out for Y2MgAs after structural relaxation.

Cell: 3.790 3.790 6.755 Å, 90.00 90.00 90.00°
Space group P4/mmm (No. 123)
Inequivalent atoms, fractional coordinates:
Y  0.000  0.000  0.233 x2
Mg  0.500  0.500  0.500 x1
As  0.500  0.500  0.000 x1

ΔE_f in eV/f.u.: -2.57

***

No. 3
A plane-wave DFT calculation with PBE-GGA was carried out for YMgAs2 after structural relaxation.

Cell: 3.894 3.162 7.563 Å, 90.00 103.05 90.00°
Space group P2/m (No. 10)
Inequivalent atoms, fractional coordinates:
Y  0.000  0.000  0.000 x1
Mg  0.000  0.000  0.500 x1
As  0.399  0.500  0.759 x2

ΔE_f in eV/f.u.: -2.73

***

No. 4
A plane-wave DFT calculation with PBE-GGA was carried out for YMgAs2 after structural relaxation.

Cell: 3.772 4.482 5.044 Å, 90.00 90.00 90.00°
Space group Pmmm (No. 47)
Inequivalent atoms, fractional coordinates:
Y  0.000  0.000  0.000 x1
Mg  0.000  0.500  0.500 x1
As  0.500  0.000  0.500 x1
As  0.500  0.500  0.000 x1

ΔE_f in eV/f.u.: -2.94

***

No. 5
A plane-wave DFT calculation with PBE-GGA was carried out for Y2MgAs after structural relaxation.

Cell: 3.588 3.588 7.985 Å, 90.00 90.00 90.00°
Space group P4mm (No. 99)
Inequivalent atoms, fractional coordinates:
Y  0.000  0.000  0.000 x1
Y  0.500  0.500  0.329 x1
Mg  0.500  0.500  0.725 x1
As  0.000  0.000  0.562 x1

ΔE_f in eV/f.u.: -1.56

***

No. 6
A plane-wave DFT calculation with PBE-GGA was carried out for Y4MgAs after structural relaxation.

Cell: 8.959 8.959 8.959 Å, 90.00 90.00 90.00°
Space group F-43m (No. 216)
Inequivalent atoms, fractional coordinates:
Y  0.125  0.125  0.125 x16
Mg  0.000  0.000  0.500 x4
As  0.250  0.250  0.750 x4

ΔE_f in eV/f.u.: 1.91

***

Q: Among the records above, which one has the lowest ΔE_f?
A: number 1

~~~~~

1.
A crystal of MoSe relaxed with PBEsol. Source: Alexandria via LeMat-Bulk, functional meta-GGA SCAN.

a = 4.268 Å, b = 4.268 Å, c = 4.268 Å
α = 41.90°, β = 41.90°, γ = 41.90°
Fractional coordinates of all 2 atoms:
Mo 0.000 0.000 0.000
Se 0.500 0.500 0.500

Values from the calculation:
**Energy**: -2.0040 Ry/atom
**Symmetry**: No. 166
**Crystal system**: trigonal
**Energy above the lowest structure with this stoichiometry**: 0 meV per atom

=====

2.
A crystal of TlRh2Br relaxed with PBEsol. Source: Alexandria via LeMat-Bulk, functional meta-GGA SCAN.

a = 8.178 Å, b = 8.178 Å, c = 8.178 Å
α = 22.39°, β = 22.39°, γ = 22.39°
Fractional coordinates of all 4 atoms:
Tl 0.000 0.000 0.000
Rh 0.247 0.247 0.247
Rh 0.753 0.753 0.753
Br 0.500 0.500 0.500

Values from the calculation:
**Energy**: -2.8989 Ry/atom
**Symmetry**: No. 166
**Crystal system**: trigonal

=====

3.
A crystal of NaTe2RuN relaxed with PBEsol. Source: Alexandria via LeMat-Bulk, functional meta-GGA SCAN.

a = 5.272 Å, b = 5.272 Å, c = 3.891 Å
α = 90.00°, β = 90.00°, γ = 90.00°
Fractional coordinates of all 5 atoms:
Na 0.000 0.000 0.000
Te 0.000 0.500 0.000
Te 0.500 0.000 0.000
Ru 0.500 0.500 0.500
N 0.000 0.000 0.500

Values from the calculation:
**Energy**: -1.6816 Ry/atom
**Symmetry**: No. 123
**Crystal system**: tetragonal
**Energy above the lowest structure with this stoichiometry**: 1742 meV per atom

=====

4.
A crystal of HfGaBr2 relaxed with PBEsol. Source: Alexandria via LeMat-Bulk, functional meta-GGA SCAN.

a = 10.154 Å, b = 10.154 Å, c = 10.154 Å
α = 18.73°, β = 18.73°, γ = 18.73°
Fractional coordinates of all 4 atoms:
Hf 0.000 0.000 0.000
Ga 0.500 0.500 0.500
Br 0.398 0.398 0.398
Br 0.602 0.602 0.602

Values from the calculation:
**Energy**: -2.2094 Ry/atom
**Symmetry**: No. 166
**Crystal system**: trigonal

=====

5.
+++

Completed:
No. 1
A plane-wave DFT calculation with PBE-GGA was carried out for YMgAs2 after structural relaxation.

Cell: 7.064 6.467 3.719 Å, 90.00 90.12 90.00°
Space group C2/m (No. 12)
Inequivalent atoms, fractional coordinates:
Y  0.000  0.000  0.000 x2
Mg  0.000  0.500  0.000 x2
As  0.250  0.250  0.500 x4

ΔE_f in eV/f.u.: -2.96

***

No. 2
A plane-wave DFT calculation with PBE-GGA was carried out for Y2MgAs after structural relaxation.

Cell: 3.790 3.790 6.755 Å, 90.00 90.00 90.00°
Space group P4/mmm (No. 123)
Inequivalent atoms, fractional coordinates:
Y  0.000  0.000  0.233 x2
Mg  0.500  0.500  0.500 x1
As  0.500  0.500  0.000 x1

ΔE_f in eV/f.u.: -2.57

***

No. 3
A plane-wave DFT calculation with PBE-GGA was carried out for YMgAs2 after structural relaxation.

Cell: 3.894 3.162 7.563 Å, 90.00 103.05 90.00°
Space group P2/m (No. 10)
Inequivalent atoms, fractional coordinates:
Y  0.000  0.000  0.000 x1
Mg  0.000  0.000  0.500 x1
As  0.399  0.500  0.759 x2

ΔE_f in eV/f.u.: -2.73

***

No. 4
A plane-wave DFT calculation with PBE-GGA was carried out for YMgAs2 after structural relaxation.

Cell: 3.772 4.482 5.044 Å, 90.00 90.00 90.00°
Space group Pmmm (No. 47)
Inequivalent atoms, fractional coordinates:
Y  0.000  0.000  0.000 x1
Mg  0.000  0.500  0.500 x1
As  0.500  0.000  0.500 x1
As  0.500  0.500  0.000 x1

ΔE_f in eV/f.u.: -2.94

***

No. 5
A plane-wave DFT calculation with PBE-GGA was carried out for Y2MgAs after structural relaxation.

Cell: 3.588 3.588 7.985 Å, 90.00 90.00 90.00°
Space group P4mm (No. 99)
Inequivalent atoms, fractional coordinates:
Y  0.000  0.000  0.000 x1
Y  0.500  0.500  0.329 x1
Mg  0.500  0.500  0.725 x1
As  0.000  0.000  0.562 x1

ΔE_f in eV/f.u.: -1.56

***

No. 6
A plane-wave DFT calculation with PBE-GGA was carried out for Y4MgAs after structural relaxation.

Cell: 8.959 8.959 8.959 Å, 90.00 90.00 90.00°
Space group F-43m (No. 216)
Inequivalent atoms, fractional coordinates:
Y  0.125  0.125  0.125 x16
Mg  0.000  0.000  0.500 x4
As  0.250  0.250  0.750 x4

ΔE_f in eV/f.u.: 1.91

***

Q: Among the records above, which one has the lowest ΔE_f?
A: number 1

~~~~~

1.
A crystal of MoSe relaxed with PBEsol. Source: Alexandria via LeMat-Bulk, functional meta-GGA SCAN.

a = 4.268 Å, b = 4.268 Å, c = 4.268 Å
α = 41.90°, β = 41.90°, γ = 41.90°
Fractional coordinates of all 2 atoms:
Mo 0.000 0.000 0.000
Se 0.500 0.500 0.500

Values from the calculation:
**Energy**: -2.0040 Ry/atom
**Symmetry**: No. 166
**Crystal system**: trigonal
**Energy above the lowest structure with this stoichiometry**: 0 meV per atom

=====

2.
A crystal of TlRh2Br relaxed with PBEsol. Source: Alexandria via LeMat-Bulk, functional meta-GGA SCAN.

a = 8.178 Å, b = 8.178 Å, c = 8.178 Å
α = 22.39°, β = 22.39°, γ = 22.39°
Fractional coordinates of all 4 atoms:
Tl 0.000 0.000 0.000
Rh 0.247 0.247 0.247
Rh 0.753 0.753 0.753
Br 0.500 0.500 0.500

Values from the calculation:
**Energy**: -2.8989 Ry/atom
**Symmetry**: No. 166
**Crystal system**: trigonal

=====

3.
A crystal of NaTe2RuN relaxed with PBEsol. Source: Alexandria via LeMat-Bulk, functional meta-GGA SCAN.

a = 5.272 Å, b = 5.272 Å, c = 3.891 Å
α = 90.00°, β = 90.00°, γ = 90.00°
Fractional coordinates of all 5 atoms:
Na 0.000 0.000 0.000
Te 0.000 0.500 0.000
Te 0.500 0.000 0.000
Ru 0.500 0.500 0.500
N 0.000 0.000 0.500

Values from the calculation:
**Energy**: -1.6816 Ry/atom
**Symmetry**: No. 123
**Crystal system**: tetragonal
**Energy above the lowest structure with this stoichiometry**: 1742 meV per atom

=====

4.
A crystal of HfGaBr2 relaxed with PBEsol. Source: Alexandria via LeMat-Bulk, functional meta-GGA SCAN.

a = 10.154 Å, b = 10.154 Å, c = 10.154 Å
α = 18.73°, β = 18.73°, γ = 18.73°
Fractional coordinates of all 4 atoms:
Hf 0.000 0.000 0.000
Ga 0.500 0.500 0.500
Br 0.398 0.398 0.398
Br 0.602 0.602 0.602

Values from the calculation:
**Energy**: -2.2094 Ry/atom
**Symmetry**: No. 166
**Crystal system**: trigonal

=====

5.